A late winter has brought snow to Baldwin City, and the snow has affected spring sports schedules.
Baseball, softball, golf, track, and girls soccer are in the midst of their preseason. Each has games/meets in the near future, and each has had to adjust practice times.
These data records were left in the entry by mistake:
# 1
Density functional theory data (wB97M-V/def2-TZVPD) for C4H6N2O2 in the gas phase.

Last column: natural (NBO) charge in e.
Cartesian coordinates (Å):
C1 1.1457 -1.0550 2.1595  -0.2567
O1 -0.1551 -0.9986 1.4815  -0.5102
C2 -0.2785 -0.2556 0.3199  0.4141
C3 -1.4975 0.0834 -0.1948  -0.2048
N1 -1.2367 0.6434 -1.4712  -0.6090
C4 0.1547 0.6623 -1.5791  0.6434
O2 0.7534 1.2583 -2.5818  -0.6402
N2 0.7487 0.1033 -0.5443  -0.5348
H1 1.2170 -2.0043 2.6979  0.1938
H2 1.9583 -0.9981 1.3913  0.2041
H3 1.1927 -0.2054 2.8381  0.1798
H4 -2.4284 0.0744 0.2707  0.2147
H5 -1.7243 1.5294 -1.4008  0.4077
H6 0.1499 1.1627 -3.3868  0.4981

Values from the calculation:
structure (SMILES)	COc1c[nH]c(O)n1
calculated total energy	-11319.14586	eV
highest occupied orbital energy	-7.93	eV
ΔE to the lowest compared entry with this formula, charge and spin	182.9	kJ/mol
orbital gap	8.49	eV

***

# 2
Density functional theory data (wB97M-V/def2-TZVPD) for a 2-piece molecular cluster, C5H6O overall.

Last column: natural (NBO) charge in e.
Cartesian coordinates (Å):
C1 -1.6093 1.6595 0.4595  -0.3769
C2 -0.6970 2.6743 0.2188  0.1848
C3 -0.3806 0.9951 0.0920  0.2586
C4 0.0207 -1.5855 0.1979  -0.0640
C5 1.3369 -2.2560 -0.1533  -0.7997
O1 0.4806 2.0418 0.5400  -0.4816
H1 -2.7293 1.6889 0.4403  0.2595
H2 -0.7380 3.5361 -0.5560  0.2074
H3 -0.7248 -1.4217 -0.6373  0.1081
H4 1.5872 -2.2339 -1.2215  0.1965
H5 1.3428 -3.3846 0.1997  0.2658
H6 2.1107 -1.7142 0.4199  0.2416

Values from the calculation:
calculated total energy	-7319.90979	eV
highest occupied orbital energy (spin up / spin down)	-7.87 / -7.72	eV
ΔE to the lowest compared entry with this formula, charge and spin	904.5	kJ/mol
orbital gap (spin up / spin down)	7.78 / 7.74	eV

***

# 3
Density functional theory data (wB97M-V/def2-TZVPD) for a 2-piece molecular cluster, C6H14Si overall.

Last column: natural (NBO) charge in e.
Cartesian coordinates (Å):
C1 3.3333 -0.4758 0.0715  -0.5500
C2 2.9020 0.5791 -0.5282  -0.1427
C3 -0.0490 -2.0204 -0.1856  -0.6165
C4 -1.9037 0.9608 -1.3971  -1.1647
C5 -0.6820 1.8915 1.4428  -1.0937
C6 -0.8784 -1.0797 0.6647  -0.8983
Si1 -0.5986 0.6769 -0.0475  1.3641
H1 4.3397 -0.8632 0.3542  0.2169
H2 2.6171 -1.2292 0.5416  0.2028
H3 3.2980 1.6231 -0.8913  0.2057
H4 0.9572 -1.7385 0.0412  0.2056
H5 -0.0385 -3.0634 0.1352  0.2034
H6 -0.3023 -2.0788 -1.2986  0.2022
H7 -2.9821 0.9641 -1.1367  0.2459
H8 -1.8570 2.0016 -1.9072  0.2436
H9 -1.6043 0.1590 -2.0970  0.2386
H10 0.1602 1.9218 2.0164  0.2315
H11 -0.8537 2.9024 1.0305  0.2281
H12 -1.4826 1.6189 2.0347  0.2246
H13 -0.3404 -1.0824 1.6478  0.2208
H14 -1.9374 -1.3623 0.9569  0.2321

Values from the calculation:
calculated total energy	-14321.40558	eV
highest occupied orbital energy (spin up / spin down)	-8.55 / -7.20	eV
ΔE to the lowest compared entry with this formula, charge and spin	498.4	kJ/mol
orbital gap (spin up / spin down)	8.42 / 7.23	eV

***

# 4
Density functional theory data (wB97M-V/def2-TZVPD) for C2H4N2S2 in the gas phase.
For the most part individual practice times are decided by coaches, but Athletic Director Gary Stevanus considers all possibilities.
“We have had the discussion of ‘how cold is too cold’ on many occasions,” Stevanus said. “You must factor in student-athlete safety, equipment issues, and how effective the work-out will be.”
Circumstances need to be playable in order host a competition. Unplayable conditions include when injuries could occur or when fields could become excessively damaged. Due to these hazards, the first week of spring sports events has been postponed.
Practice times have been heavily affected because of the weather. Girls soccer has often had to practice indoors, both at the PC and in the high school.
[What comes next are molecular data, not part of the article]
********
# 1
Computed, not measured: an isolated ion of composition C12H19N2 and charge +1 in a non-equilibrium geometry, with ωB97M-V/def2-TZVPD.

The geometry in XYZ format:
```
33
Properties=species:S:1:pos:R:3
C 0.850 -3.513 0.462
C 1.950 -4.232 1.220
C 1.511 -4.636 -0.215
C -3.112 -0.653 -0.042
C -2.757 0.836 0.236
C -2.328 -1.648 0.855
C 1.731 1.439 -0.316
C 1.135 2.672 -0.950
C -1.323 1.042 0.008
C 0.768 2.314 0.457
C -1.011 -1.983 0.364
C 1.945 3.891 -1.349
N -0.202 -2.819 0.643
N -0.634 1.894 0.700
H 2.771 -3.622 1.459
H 1.538 -4.811 1.998
H 0.862 -5.588 -0.279
H 2.077 -4.633 -1.010
H -4.146 -0.874 0.010
H -2.871 -0.833 -1.090
H -3.187 1.323 -0.602
H -3.051 1.364 1.192
H -2.215 -1.260 1.896
H -2.910 -2.523 1.057
H 1.577 0.405 -0.692
H 2.738 1.549 0.148
H 0.448 2.445 -1.687
H -0.752 0.553 -0.749
H 1.007 2.733 1.378
H 1.165 4.636 -1.575
H 2.414 3.589 -2.321
H 2.716 3.991 -0.558
H -1.122 2.541 1.341
```

## Properties
Kohn-Sham gap, eV: 6.45
Net charge: +1
E_HOMO, eV: -10.11
Energy above the lowest of the compared OMol25 structures with the same formula, charge and spin, kcal per mole: 174.6

Mulliken population analysis, charges in e, atoms 1 to 2: 0.491, -0.576

***

# 2
Computed, not measured: C19H24BeF9NO5S as an isolated structure in a non-equilibrium geometry, with ωB97M-V/def2-TZVPD.

The geometry in XYZ format:
```
60
Properties=species:S:1:pos:R:3
C 3.506 3.289 0.809
C 2.538 2.807 0.234
C 1.612 1.842 -0.486
C 0.179 2.386 -0.012
C -0.686 3.025 -1.167
O -2.046 3.024 -0.727
C -2.704 1.816 -1.137
C -3.543 1.201 0.047
F -2.577 0.689 0.937
F -4.232 2.218 0.612
C -4.424 -0.004 -0.411
F -5.038 0.406 -1.585
F -3.697 -1.110 -0.745
C -5.594 -0.429 0.569
F -5.801 -1.774 0.350
F -6.751 0.200 0.256
C -5.297 -0.270 2.113
F -5.850 0.902 2.540
F -6.006 -1.275 2.748
C 2.064 2.069 -2.031
O 2.548 3.026 -2.484
N 1.750 0.778 -2.616
C 2.281 -0.209 -1.618
C 1.714 -1.585 -2.179
C 2.826 -2.694 -2.254
F 1.281 -1.396 -3.520
C 1.816 0.280 -0.162
C 2.780 0.016 1.043
C 3.118 -1.507 1.258
C 2.310 -2.214 2.406
C 0.755 -2.000 2.377
S -0.088 -3.120 1.191
O -0.649 -4.253 1.877
O 0.845 -3.610 0.178
O -1.344 -2.276 0.575
H 4.253 3.877 1.359
H -0.316 1.538 0.514
H 0.323 3.185 0.754
H -0.389 4.095 -1.311
H -0.628 2.494 -2.148
H -3.320 2.024 -2.040
H -1.961 1.021 -1.408
H -4.238 -0.419 2.413
H 0.718 0.834 -2.635
H 3.398 -0.226 -1.668
H 0.807 -1.931 -1.626
H 3.716 -2.355 -1.665
H 2.480 -3.671 -1.848
H 3.180 -2.846 -3.297
H 0.822 -0.231 -0.048
H 2.455 0.526 1.981
H 3.751 0.508 0.755
H 3.046 -2.088 0.313
H 4.196 -1.539 1.565
H 2.478 -3.315 2.297
H 2.707 -1.896 3.397
H 0.373 -2.307 3.385
H 0.441 -0.932 2.253
H -1.077 -1.707 -0.169
Be 5.191 5.114 -0.111
```

## Properties
Kohn-Sham gap, eV: 2.40
Net charge: +2
E_HOMO, eV: -15.49

Mulliken population analysis, charges in e, atoms 1 to 2: -0.613, -1.597

***

# 3
Computed, not measured: an isolated molecule of C2H8N6 in a non-equilibrium geometry, with ωB97M-V/def2-TZVPD.

The geometry in XYZ format:
```
16
********
“I think it has made it harder and we are behind the schools that can practice outside,” sophomore soccer player Natalie Shultz said. “But when we are inside it helps our touches. We have to be more accurate.”
Golf has also had a difficult time making it outside.
“We have only been outside once,” coach Tom Sigvaldson said. “It is really messing up our chance to evaluate new kids. We have spent several days indoors watching training videos, but it is not too productive because we cannot apply it.”
<<<
No. 1
ORCA calculation (the ωB97M-V functional and the def2-TZVPD basis) on a 3-piece molecular cluster, C4H14NO4 overall in a non-equilibrium geometry.

```
23
Properties=species:S:1:pos:R:3:forces:R:3:nbo_charge:R:1
H -1.235640 0.370606 3.118672 0.2 0.0 -0.1 0.238
C -1.539631 1.020591 -0.895975 -0.3 -0.3 -0.4 0.792
O -1.033414 1.213934 -2.119458 0.4 0.0 -0.1 -0.672
H 1.076188 -0.900673 2.162143 -0.5 -0.6 0.4 0.435
H -1.812206 -1.032363 -0.195115 -0.3 0.3 -0.5 0.248
H 3.796772 0.419002 -0.694953 0.2 0.5 -0.2 0.477
H -1.858768 -1.096086 2.445498 -0.2 -0.3 -0.2 0.216
H 0.080755 -2.117443 1.524126 0.3 0.0 -0.3 0.440
H -1.276307 2.083129 -2.472946 -0.3 0.0 0.1 0.512
H 2.775733 1.341401 -1.420479 0.2 -0.1 0.0 0.499
O -2.304749 1.754735 -0.341135 0.2 0.1 0.2 -0.560
O 2.607884 -2.175779 -0.218515 -0.1 -0.1 0.2 -0.977
C -1.556972 -0.088066 2.181959 -0.3 0.5 0.7 -0.658
H 0.139770 0.815964 1.189437 -0.2 0.2 -0.1 0.226
H -2.433178 0.477268 1.868985 0.0 -0.1 -0.2 0.278
C -1.027000 -0.280855 -0.324609 0.2 -0.4 1.3 -0.537
N 0.504201 -1.204098 1.366411 0.3 2.2 0.7 -0.695
H 3.284383 -1.560120 -0.513514 -0.1 -0.2 -0.2 0.493
H 1.219882 -1.140071 0.642790 0.0 -1.1 -0.8 0.481
C -0.499720 -0.061824 1.118156 0.4 -0.7 -0.6 -0.009
H -0.255735 -0.739431 -0.939333 0.0 0.3 -0.2 0.244
O 2.861580 0.620660 -0.787505 -0.3 -0.3 0.3 -0.971
H 2.991341 -3.061135 -0.237592 0.0 0.2 0.0 0.501
```
Positions in Å, forces in eV/Å.

Calculated values
LUMO level   -3.11 eV
Energy relative to the best compared isomer or geometry (same formula, charge and spin)   2.61 kcal/mol
Net charge   +1

=====

No. 2
ORCA calculation (the ωB97M-V functional and the def2-TZVPD basis) on a 2-piece molecular cluster, C14H16 overall in a non-equilibrium geometry.

```
30
Properties=species:S:1:pos:R:3:forces:R:3:nbo_charge:R:1
H 0.144575 3.523784 -2.498059 -1.9 0.6 -1.0 0.201
H 3.891170 0.802243 1.025416 -1.1 -0.8 -0.8 0.217
H -2.552445 -0.386741 -1.507623 0.3 -0.8 0.7 0.223
C 0.813323 2.074930 0.423723 2.2 -0.7 -1.8 -0.222
H 3.935633 2.458884 -0.960958 -1.5 -0.1 -0.2 0.210
H -1.127520 2.537177 -0.450404 2.3 0.2 -0.2 0.214
H -4.409994 -1.163323 0.147573 0.8 -0.3 -0.3 0.216
H 2.401564 -0.190407 1.457980 -0.1 1.7 -0.9 0.236
H 0.378582 1.638760 1.224318 -1.2 -1.3 2.7 0.205
H -3.966947 -3.081209 1.566991 0.5 0.5 -0.4 0.208
C 0.037358 2.551071 -0.561727 -3.9 1.7 -1.4 -0.198
C 2.079539 3.126197 -1.966102 -3.8 -0.9 3.7 -0.208
H 0.827069 -3.420165 2.043358 -1.6 0.3 -1.9 0.226
H 0.982256 -1.879714 1.447778 -0.2 0.2 -0.7 0.216
C 0.572005 -2.828017 1.064528 1.6 0.0 1.3 -0.646
C 2.762519 0.853094 1.181983 3.7 1.1 0.2 -0.669
C 2.801084 2.508866 -0.949652 1.6 -1.1 0.5 -0.221
H -1.617508 -3.870180 1.945318 -0.4 -0.3 0.8 0.213
H 3.000299 1.434014 2.080582 -1.3 -0.1 0.6 0.229
C -3.121273 -2.647051 0.989600 -2.9 0.1 1.6 -0.209
H 1.263075 -3.189013 0.312766 0.2 0.0 -0.2 0.220
C -1.111236 -1.744295 -0.522700 0.7 1.1 -0.8 -0.227
H -0.289316 -1.371194 -1.121225 0.1 0.0 -0.1 0.211
>>>
Softball coach Chad Scoby has had a little more luck than golf.
“We have been on a field for practice three times,” Scoby said. “(The weather) has affected how we have to work with the players. We get a lot throwing in during inside practice, but what we can do fielding and as a whole team is very limited. The girls have kept positive attitudes throughout this crazy schedule and I feel like we have done everything we can with the situation we are in.”
Sophomore baseball player Ben Brungardt is just ready to get on the field.
“It’s been kind of boring because we cannot do much stuff,” Brungardt said. “Because we cannot get outside, we have had to practice inside.”
The other spring sport, track, has not evaded the weather either.
“We have had to do more inside,” coach Mike Spielman said. “We have had to do more warm-ups inside. Distance has gotten outside, but sprinters and throwers have mostly been inside.”
Track was scheduled to have a meet today, Thurs. March 28, but it has been postponed to Monday, April 1. To no surprise, the weather is supposed to be cold and rainy. Mother Nature permitting, the meet will be continued, and spring sports will be off to the races, pun intended.